........
*1*
Entry from Alexandria: a relaxed MoF5 crystal (PBEsol).

Geometry as POSCAR:
```
MoF5
1.0
5.312 -0.036 -0.053
-0.257 8.603 -0.036
-0.257 -3.166 7.999
F Mo
20 4
direct
0.116 0.591 0.176
0.350 0.535 0.719
0.876 0.228 0.026
0.116 0.176 0.591
0.124 0.974 0.772
0.302 0.915 0.281
0.475 0.139 0.139
0.085 0.326 0.326
0.915 0.674 0.674
0.698 0.085 0.719
0.350 0.719 0.535
0.698 0.719 0.085
0.525 0.861 0.861
0.124 0.772 0.974
0.884 0.409 0.824
0.302 0.281 0.915
0.876 0.026 0.228
0.650 0.465 0.281
0.650 0.281 0.465
0.884 0.824 0.409
0.000 0.202 0.798
0.756 0.258 0.258
0.244 0.742 0.742
0.000 0.798 0.202
```

## Properties
Crystal system ... monoclinic
Density ... 3.48 g/cm3

=====

*2*
Entry from Alexandria: a relaxed MoF5 crystal (PBEsol).

Geometry as POSCAR:
```
MoF5
1.0
-4.479 -0.448 2.951
-0.680 -1.491 -5.127
4.871 -5.762 1.651
F Mo
10 2
direct
0.123 0.791 0.483
0.877 0.209 0.517
0.808 0.640 0.017
0.488 0.685 0.376
0.677 0.927 0.750
0.192 0.360 0.983
0.512 0.315 0.624
0.810 0.112 0.124
0.323 0.073 0.250
0.190 0.888 0.876
0.500 0.000 0.500
0.000 0.000 0.000
```

## Properties
Crystal system ... monoclinic
Density ... 3.39 g/cm3

=====

*3*
Entry from Alexandria: a relaxed MoF5 crystal (PBEsol).

Geometry as POSCAR:
```
MoF5
1.0
3.599 0.000 0.000
0.000 4.423 0.000
-1.799 -2.212 4.678
Mo F
1 5
direct
0.000 0.000 0.000
0.197 0.197 0.393
0.803 0.803 0.607
0.500 0.769 0.000
0.500 0.231 0.000
0.000 0.500 0.000
```

## Properties
Crystal system ... orthorhombic
Density ... 4.26 g/cm3

=====

Stability summary: most stable *1*, least stable *3*.

----------

[1]
Material: CdIF2
Method: DFT, PBEsol
State: optimized geometry

abc: 5.991 5.991 5.991
angles: 107.82 107.82 112.83
Positions (direct):
Cd 0.000 0.000 0.000
Cd 0.750 0.250 0.500
I 0.250 0.750 0.500
I 0.500 0.500 0.000
F 0.005 0.625 0.880
F 0.375 0.255 0.380
F 0.745 0.125 0.120
F 0.875 0.995 0.620

Output
- ΔE_f (raw) (eV per atom) = -1.24
- space group = No. 122


[2]
Material: YZnPS2
Method: DFT, PBEsol
State: optimized geometry

abc: 4.640 4.640 4.512
angles: 90.00 90.00 90.00
Positions (direct):
Y 0.000 0.000 0.000
Zn 0.500 0.500 0.500
P 0.500 0.500 0.000
S 0.000 0.500 0.500
S 0.500 0.000 0.500

Output
- ΔE_f (raw) (eV per atom) = -0.37
- space group = No. 123


[3]
Material: Y2ZnCr
Method: DFT, PBEsol
State: optimized geometry

abc: 3.511 3.511 7.042
angles: 90.00 90.00 90.00
Positions (direct):
Y 0.000 0.000 0.248
Y 0.000 0.000 0.752
Zn 0.500 0.500 0.500
Cr 0.500 0.500 0.000

Output
- energy above the most stable polymorph in this dataset (meV per atom) = 6.8
- formation energy (meV/atom) = 79
- space group = No. 123


Going through the records in order, we get volume values of 165; 97; 87 Å³ per cell.
Going through the records in order, we get total energy values of -2.944; -4.959; -6.288 eV per atom.

----------

A geometry-optimized Tl3In structure. Source: Alexandria via LeMat-Bulk, functional GGA-PBE.

a = 5.579 Å, b = 7.312 Å, c = 5.896 Å
α = 90.00°, β = 90.00°, γ = 90.00°
Fractional positions:
Tl 0.250 0.000 0.188
Tl 0.250 0.250 0.682
Tl 0.250 0.500 0.188
Tl 0.750 0.000 0.812
Tl 0.750 0.500 0.812
Tl 0.750 0.750 0.318
In 0.250 0.750 0.690
In 0.750 0.250 0.310

Output
DFT formation energy = 0.04 eV/f.u.
Volume = 240.5 Å³ per cell

A geometry-optimized TaIO structure. Source: Alexandria via LeMat-Bulk, functional GGA-PBE.

a = 3.868 Å, b = 3.868 Å, c = 10.024 Å
α = 93.31°, β = 94.04°, γ = 101.72°
Fractional positions:
Ta 0.000 0.000 0.000
Ta 0.340 0.344 0.830
I 0.247 0.544 0.210
I 0.790 0.104 0.619
O 0.466 0.876 0.915
O 0.880 0.462 0.915

Output
Formation energy (no corrections) = -3.65 eV/f.u.
Volume = 146.1 Å³ per cell

----------

1.
First-principles (PBE) data for a geometry-optimized AlHg2Rh structure, as listed in Alexandria.
........

Your job: type out all of the rows above without additions.

*1*
Entry from Alexandria: a relaxed MoF5 crystal (PBEsol).

Geometry as POSCAR:
```
MoF5
1.0
5.312 -0.036 -0.053
-0.257 8.603 -0.036
-0.257 -3.166 7.999
F Mo
20 4
direct
0.116 0.591 0.176
0.350 0.535 0.719
0.876 0.228 0.026
0.116 0.176 0.591
0.124 0.974 0.772
0.302 0.915 0.281
0.475 0.139 0.139
0.085 0.326 0.326
0.915 0.674 0.674
0.698 0.085 0.719
0.350 0.719 0.535
0.698 0.719 0.085
0.525 0.861 0.861
0.124 0.772 0.974
0.884 0.409 0.824
0.302 0.281 0.915
0.876 0.026 0.228
0.650 0.465 0.281
0.650 0.281 0.465
0.884 0.824 0.409
0.000 0.202 0.798
0.756 0.258 0.258
0.244 0.742 0.742
0.000 0.798 0.202
```

## Properties
Crystal system ... monoclinic
Density ... 3.48 g/cm3

=====

*2*
Entry from Alexandria: a relaxed MoF5 crystal (PBEsol).

Geometry as POSCAR:
```
MoF5
1.0
-4.479 -0.448 2.951
-0.680 -1.491 -5.127
4.871 -5.762 1.651
F Mo
10 2
direct
0.123 0.791 0.483
0.877 0.209 0.517
0.808 0.640 0.017
0.488 0.685 0.376
0.677 0.927 0.750
0.192 0.360 0.983
0.512 0.315 0.624
0.810 0.112 0.124
0.323 0.073 0.250
0.190 0.888 0.876
0.500 0.000 0.500
0.000 0.000 0.000
```

## Properties
Crystal system ... monoclinic
Density ... 3.39 g/cm3

=====

*3*
Entry from Alexandria: a relaxed MoF5 crystal (PBEsol).

Geometry as POSCAR:
```
MoF5
1.0
3.599 0.000 0.000
0.000 4.423 0.000
-1.799 -2.212 4.678
Mo F
1 5
direct
0.000 0.000 0.000
0.197 0.197 0.393
0.803 0.803 0.607
0.500 0.769 0.000
0.500 0.231 0.000
0.000 0.500 0.000
```

## Properties
Crystal system ... orthorhombic
Density ... 4.26 g/cm3

=====

Stability summary: most stable *1*, least stable *3*.

----------

[1]
Material: CdIF2
Method: DFT, PBEsol
State: optimized geometry

abc: 5.991 5.991 5.991
angles: 107.82 107.82 112.83
Positions (direct):
Cd 0.000 0.000 0.000
Cd 0.750 0.250 0.500
I 0.250 0.750 0.500
I 0.500 0.500 0.000
F 0.005 0.625 0.880
F 0.375 0.255 0.380
F 0.745 0.125 0.120
F 0.875 0.995 0.620

Output
- ΔE_f (raw) (eV per atom) = -1.24
- space group = No. 122


[2]
Material: YZnPS2
Method: DFT, PBEsol
State: optimized geometry

abc: 4.640 4.640 4.512
angles: 90.00 90.00 90.00
Positions (direct):
Y 0.000 0.000 0.000
Zn 0.500 0.500 0.500
P 0.500 0.500 0.000
S 0.000 0.500 0.500
S 0.500 0.000 0.500

Output
- ΔE_f (raw) (eV per atom) = -0.37
- space group = No. 123


[3]
Material: Y2ZnCr
Method: DFT, PBEsol
State: optimized geometry

abc: 3.511 3.511 7.042
angles: 90.00 90.00 90.00
Positions (direct):
Y 0.000 0.000 0.248
Y 0.000 0.000 0.752
Zn 0.500 0.500 0.500
Cr 0.500 0.500 0.000

Output
- energy above the most stable polymorph in this dataset (meV per atom) = 6.8
- formation energy (meV/atom) = 79
- space group = No. 123


Going through the records in order, we get volume values of 165; 97; 87 Å³ per cell.
Going through the records in order, we get total energy values of -2.944; -4.959; -6.288 eV per atom.

----------

A geometry-optimized Tl3In structure. Source: Alexandria via LeMat-Bulk, functional GGA-PBE.

a = 5.579 Å, b = 7.312 Å, c = 5.896 Å
α = 90.00°, β = 90.00°, γ = 90.00°
Fractional positions:
Tl 0.250 0.000 0.188
Tl 0.250 0.250 0.682
Tl 0.250 0.500 0.188
Tl 0.750 0.000 0.812
Tl 0.750 0.500 0.812
Tl 0.750 0.750 0.318
In 0.250 0.750 0.690
In 0.750 0.250 0.310

Output
DFT formation energy = 0.04 eV/f.u.
Volume = 240.5 Å³ per cell

A geometry-optimized TaIO structure. Source: Alexandria via LeMat-Bulk, functional GGA-PBE.

a = 3.868 Å, b = 3.868 Å, c = 10.024 Å
α = 93.31°, β = 94.04°, γ = 101.72°
Fractional positions:
Ta 0.000 0.000 0.000
Ta 0.340 0.344 0.830
I 0.247 0.544 0.210
I 0.790 0.104 0.619
O 0.466 0.876 0.915
O 0.880 0.462 0.915

Output
Formation energy (no corrections) = -3.65 eV/f.u.
Volume = 146.1 Å³ per cell

----------

1.
First-principles (PBE) data for a geometry-optimized AlHg2Rh structure, as listed in Alexandria.